[Excerpt]
=====
DFT (meta-GGA r2SCAN) results for a geometry-optimized Th3N4 structure.

Computed properties:
Energy relative to the elements ... -13.19 eV/f.u.
Theoretical density ... 10.49 g/cm³
DFT total energy ... -270.13 eV for the cell shown

Structure (POSCAR):
```
Th3N4
1.0
1.938 1.119 9.154
-1.938 1.119 9.154
0.000 -2.237 9.154
Th N
3 4
direct
0.000 0.000 0.000 Th
0.222 0.222 0.222 Th
0.778 0.778 0.778 Th
0.132 0.132 0.132 N
0.377 0.377 0.377 N
0.623 0.623 0.623 N
0.868 0.868 0.868 N
```

---

DFT (meta-GGA r2SCAN) results for a geometry-optimized YThN2 structure.

Computed properties:
Energy relative to the elements ... -7.44 eV/f.u.
Theoretical density ... 8.99 g/cm³
DFT total energy ... -119.49 eV for the cell shown

Structure (POSCAR):
```
YThN2
1.0
3.585 0.000 0.000
0.000 3.585 0.000
0.000 0.000 5.015
Y Th N
1 1 2
direct
0.000 0.000 0.000 Y
0.500 0.500 0.500 Th
0.000 0.000 0.500 N
0.500 0.500 0.000 N
```

* * * * *

Entry 1:
## Na2NiPCO7 (GGA+U)

Data for a relaxed structure of Na2NiPCO7.

abc: 9.0120 6.5169 10.3661
angles: 90.00 91.45 90.00
Atoms (fractional coordinates):
Na1 0.0000 0.0043 0.0000
Na2 0.0000 0.9957 0.5000
Na3 0.1772 0.2302 0.2669
Na4 0.1772 0.7698 0.7669
Na5 0.6482 0.2661 0.5186
Na6 0.6482 0.7339 0.0186
Na7 0.6486 0.2687 0.0206
Na8 0.6486 0.7313 0.5206
Ni1 0.2523 0.4982 0.5050
Ni2 0.2523 0.5018 0.0050
Ni3 0.5616 0.0026 0.7838
Ni4 0.5616 0.9974 0.2838
P1 0.3329 0.0016 0.0386
P2 0.3329 0.9984 0.5386
P3 0.4835 0.4993 0.7538
P4 0.4835 0.5007 0.2538
C1 0.8365 0.0063 0.2507
C2 0.8365 0.9937 0.7507
C3 0.9812 0.4962 0.5368
C4 0.9812 0.5038 0.0368
O1 0.0403 0.4876 0.4239
O2 0.0403 0.5124 0.9239
O3 0.0805 0.4959 0.1309
O4 0.0805 0.5041 0.6309
O5 0.2316 0.1911 0.0138
O6 0.2316 0.8089 0.5138
O7 0.2351 0.1852 0.4978
O8 0.2351 0.8148 0.9978
O9 0.3373 0.4962 0.3273
O10 0.3373 0.5038 0.8273
O11 0.3714 0.0014 0.6866
O12 0.3714 0.9986 0.1866
O13 0.4508 0.4971 0.6045
O14 0.4508 0.5029 0.1045
O15 0.4801 0.0056 0.9660
O16 0.4801 0.9944 0.4660
O17 0.5816 0.3111 0.2892
O18 0.5818 0.3121 0.7912
O19 0.5818 0.6879 0.2912
O20 0.5816 0.6889 0.7892
O21 0.7430 0.9997 0.1523
O22 0.7430 0.0003 0.6523
O23 0.7757 0.0010 0.3643
O24 0.7757 0.9990 0.8643
O25 0.8428 0.4982 0.5548
O26 0.8428 0.5018 0.0548
O27 0.9755 0.0171 0.2382
O28 0.9755 0.9829 0.7382

Computed properties:
ΔE_f	-2.07	eV/atom
energy above the most stable polymorph in this dataset	15	meV per atom
size of the total moment	1.00	μB/f.u.
E (MP2020)	-330.290	eV/cell

Entry 2:
## Li5VP3O11 (GGA+U)

Data for a relaxed structure of Li5VP3O11.

abc: 5.3749 8.5292 9.6448
angles: 84.75 88.35 85.10
Atoms (fractional coordinates):
Li1 0.0113 0.0038 0.3383
Li2 0.1729 0.6168 0.8214
Li3 0.2065 0.3788 0.6667
Li4 0.2803 0.6710 0.1576
Li5 0.3315 0.3807 0.3412
Li6 0.6685 0.6193 0.6588
Li7 0.7197 0.3290 0.8424
Li8 0.7935 0.6212 0.3333
Li9 0.8271 0.3832 0.1786
Li10 0.9887 0.9962 0.6617
V1 0.0000 0.0000 0.0000
V2 0.5000 0.0000 0.5000
P1 0.2298 0.3284 0.0195
P2 0.2866 0.7063 0.4846
P3 0.4642 0.0500 0.1859
P4 0.5358 0.9500 0.8141
P5 0.7134 0.2937 0.5154
P6 0.7702 0.6716 0.9805
O1 0.0206 0.7477 0.9851
O2 0.1518 0.8730 0.5049
O3 0.1664 0.6233 0.3698
O4 0.2102 0.4348 0.1397
O5 0.2598 0.0110 0.8135
O6 0.2751 0.9309 0.1608
O7 0.2887 0.6035 0.6268
O8 0.3194 0.4005 0.8783
O9 0.3742 0.1336 0.3147
O10 0.4392 0.2561 0.5570
O11 0.4483 0.1883 0.0578
O12 0.5517 0.8117 0.9422
O13 0.5608 0.7439 0.4430
O14 0.6258 0.8664 0.6853
O15 0.6806 0.5995 0.1217
O16 0.7113 0.3965 0.3732
O17 0.7249 0.0691 0.8392
O18 0.7402 0.9890 0.1865
O19 0.7898 0.5652 0.8603
O20 0.8336 0.3767 0.6302
O21 0.8482 0.1270 0.4951
O22 0.9794 0.2523 0.0149

Computed properties:
ΔE_f	-2.66	eV/atom
size of the total moment	3.00	μB/f.u.
E (MP2020)	-285.035	eV/cell

Entry 3:
## Mn3BiO8 (GGA+U)

Data for a relaxed structure of Mn3BiO8.

abc: 8.6094 8.6094 8.6094
angles: 90.00 90.00 90.00
Atoms (fractional coordinates):
Mn1 0.0989 0.1511 0.6250
Mn2 0.1250 0.4011 0.8489
Mn3 0.1511 0.6250 0.0989
Mn4 0.3489 0.3750 0.5989
Mn5 0.3750 0.5989 0.3489
=====
[Assignment]
Next, repeat only the lines further up with the word "of" in them.
[Reply]
Data for a relaxed structure of Na2NiPCO7.
size of the total moment	1.00	μB/f.u.
Data for a relaxed structure of Li5VP3O11.
size of the total moment	3.00	μB/f.u.
Data for a relaxed structure of Mn3BiO8.